Data >
<<<
Record 1
The following is a computed powder diffraction line list of BaSrEuWO6. It was derived from a DFT-relaxed cell (GGA+U, Alexandria), using a wavelength of 1.5418 Å.
Peak positions follow from Bragg's law for the DFT cell and can differ from measured ones.

Structural model:
Cell: 6.013 6.136 8.593 Å, 90.78 91.09 90.03°
Element x y z (fractional)
Ba 0.004 0.036 0.252
Ba 0.996 0.964 0.748
Sr 0.000 0.500 0.500
Sr 0.500 0.000 0.000
Eu 0.480 0.544 0.253
Eu 0.520 0.456 0.747
W 0.000 0.500 0.000
W 0.500 0.000 0.500
O 0.114 0.513 0.785
O 0.189 0.751 0.057
O 0.231 0.822 0.469
O 0.250 0.310 0.061
O 0.333 0.268 0.442
O 0.429 0.055 0.719
O 0.571 0.945 0.281
O 0.667 0.732 0.558
O 0.750 0.690 0.939
O 0.769 0.178 0.531
O 0.811 0.249 0.943
O 0.886 0.487 0.215

Peak list (10 most intense, 15 to 90 degrees two-theta, by angle)
d_spacing  2θ (°)  I/Imax  (hkl)
4.967  17.9  18  1 0 -1
3.070  29.1  100  1 1 -2
3.044  29.3  51  -1 1 2
3.031  29.5  52  1 -1 2
3.004  29.7  98  1 1 2
2.147  42.1  72  0 0 4
1.770  51.6  20  0 2 -4
1.763  51.9  20  2 0 -4
1.751  52.2  19  -3 1 2
1.732  52.8  21  3 -1 2


Record 2
The following is a computed powder diffraction line list of BaEuYWO6. It was derived from a DFT-relaxed cell (GGA+U, Alexandria), using a wavelength of 1.5418 Å.
Peak positions follow from Bragg's law for the DFT cell and can differ from measured ones.

Structural model:
Cell: 5.935 5.962 8.461 Å, 89.66 89.94 89.80°
Element x y z (fractional)
Ba 0.003 0.019 0.251
Ba 0.997 0.981 0.749
Eu 0.499 0.533 0.247
Eu 0.501 0.467 0.753
Y 0.000 0.500 0.000
Y 0.500 0.000 0.500
W 0.000 0.500 0.500
W 0.500 0.000 0.000
O 0.078 0.490 0.738
O 0.213 0.763 0.475
O 0.238 0.797 0.022
O 0.263 0.301 0.457
O 0.304 0.279 0.045
O 0.450 0.043 0.763
O 0.550 0.957 0.237
O 0.696 0.721 0.955
O 0.737 0.699 0.543
O 0.762 0.203 0.978
O 0.787 0.237 0.525
O 0.922 0.510 0.262

Peak list (10 most intense, 15 to 90 degrees two-theta, by angle)
d_spacing  2θ (°)  I/Imax  (hkl)
2.989  29.9  68  -1 1 2
2.978  30.0  100  1 -1 2
2.968  30.1  33  2 0 0
2.115  42.7  19  0 0 4
2.107  42.9  18  2 2 0
2.099  43.1  17  2 -2 0
1.723  53.2  21  2 0 4
1.720  53.3  21  3 1 2
1.715  53.4  28  -3 1 2
1.330  70.8  11  4 2 0

~~~~~

(1)
Simulated powder XRD pattern of Y2HoScSe6 for Cu Kα, from the GGA-PBE geometry in Alexandria.
Intensities are scaled so that the largest is 100.

Peak list (10 most intense, 2θ = 10–90°, sorted by position)
d [Å]	I_rel
5.175	35
3.781	30
3.103	100
2.588	27
2.375	87
2.091	21
2.049	59
1.827	20
1.551	21
1.237	17

Atomic structure:
Cell lengths 7.0972, 7.0972, 19.1841 Å; angles 90.00, 90.00, 120.00 degrees
Space group R3 (No. 146, hexagonal axes)
Symmetry-distinct sites (fractional):
Y (0.0000, 0.0000, 0.0000) (multiplicity 3)
Y (0.0000, 0.0000, 0.4979) (multiplicity 3)
Ho (0.0000, 0.0000, 0.1948) (multiplicity 3)
Sc (0.0000, 0.0000, 0.6921) (multiplicity 3)
Se (0.0319, 0.3437, 0.7649) (multiplicity 9)
Se (0.0376, 0.6759, 0.2674) (multiplicity 9)

***

(2)
Simulated powder XRD pattern of TaIn2Sb for Cu Kα, from the GGA-PBE geometry in Alexandria.
Intensities are scaled so that the largest is 100.

Peak list (10 most intense, 2θ = 10–90°, sorted by position)
d [Å]	I_rel
2.629	53
2.569	100
2.548	49
2.401	83
1.830	36
1.512	19
1.506	19
1.470	17
1.420	15
1.409	15

Atomic structure:
Cell lengths 5.867, 10.516, 3.200 Å; angles 90.00, 113.07, 90.00 degrees
Space group C2/m (No. 12)
Symmetry-distinct sites (fractional):
Ta (0.000, 0.000, 0.000) (multiplicity 2)
In (0.250, 0.250, 0.500) (multiplicity 4)
Sb (0.000, 0.500, 0.000) (multiplicity 2)

***

(3)
Simulated powder XRD pattern of Nd6Dy16Th7 for Cu Kα, from the GGA-PBE geometry in Alexandria.
Intensities are scaled so that the largest is 100.

Peak list (10 most intense, 2θ = 10–90°, sorted by position)
d [Å]	I_rel
7.991	7
3.262	6
2.825	100
2.702	9
2.527	7
1.998	14
1.754	6
1.631	28
1.413	8
1.264	8

Atomic structure:
Cell lengths 15.983, 15.983, 15.983 Å; angles 90.00, 90.00, 90.00 degrees
Space group Fm-3m (No. 225)
>>>
Wanted >
Could you transcribe the part of the notes further up that starts with the line with "1.751" and stops after the one with "hexagonal axes)"?
Written answer >
1.751  52.2  19  -3 1 2
1.732  52.8  21  3 -1 2


Record 2
The following is a computed powder diffraction line list of BaEuYWO6. It was derived from a DFT-relaxed cell (GGA+U, Alexandria), using a wavelength of 1.5418 Å.
Peak positions follow from Bragg's law for the DFT cell and can differ from measured ones.

Structural model:
Cell: 5.935 5.962 8.461 Å, 89.66 89.94 89.80°
Element x y z (fractional)
Ba 0.003 0.019 0.251
Ba 0.997 0.981 0.749
Eu 0.499 0.533 0.247
Eu 0.501 0.467 0.753
Y 0.000 0.500 0.000
Y 0.500 0.000 0.500
W 0.000 0.500 0.500
W 0.500 0.000 0.000
O 0.078 0.490 0.738
O 0.213 0.763 0.475
O 0.238 0.797 0.022
O 0.263 0.301 0.457
O 0.304 0.279 0.045
O 0.450 0.043 0.763
O 0.550 0.957 0.237
O 0.696 0.721 0.955
O 0.737 0.699 0.543
O 0.762 0.203 0.978
O 0.787 0.237 0.525
O 0.922 0.510 0.262

Peak list (10 most intense, 15 to 90 degrees two-theta, by angle)
d_spacing  2θ (°)  I/Imax  (hkl)
2.989  29.9  68  -1 1 2
2.978  30.0  100  1 -1 2
2.968  30.1  33  2 0 0
2.115  42.7  19  0 0 4
2.107  42.9  18  2 2 0
2.099  43.1  17  2 -2 0
1.723  53.2  21  2 0 4
1.720  53.3  21  3 1 2
1.715  53.4  28  -3 1 2
1.330  70.8  11  4 2 0

~~~~~

(1)
Simulated powder XRD pattern of Y2HoScSe6 for Cu Kα, from the GGA-PBE geometry in Alexandria.
Intensities are scaled so that the largest is 100.

Peak list (10 most intense, 2θ = 10–90°, sorted by position)
d [Å]	I_rel
5.175	35
3.781	30
3.103	100
2.588	27
2.375	87
2.091	21
2.049	59
1.827	20
1.551	21
1.237	17

Atomic structure:
Cell lengths 7.0972, 7.0972, 19.1841 Å; angles 90.00, 90.00, 120.00 degrees
Space group R3 (No. 146, hexagonal axes)